Job
Echo the entries below from the line with "H13 0.7500" to the end without altering anything.
File
____________
<one>
An optimized crystal structure of CaAl2Si2H4O10, computed with PBE-GGA.

a b c (Å): 5.9337 8.8540 13.2224
angles (deg): 90.00 90.00 90.00
Closest atoms and distances in Å follow each position.
Sites, in units of the cell vectors:
O1 0.7500 0.3551 0.2469  2 H 0.98-1.01
O2 0.9786 0.6299 0.1151  1 Si 1.63
H1 0.2500 0.5532 0.7122  1 O 0.98
Si1 0.7500 0.7301 0.1310  4 O 1.63-1.67
O3 0.2500 0.8902 0.4482  1 H 1.00
Al1 0.5000 0.0000 0.0000  6 O 1.89-1.97
H2 0.7500 0.2183 0.5313  1 O 1.00
H3 0.2500 0.7183 0.9687  1 O 1.00
O4 0.7500 0.1098 0.5518  1 H 1.00
O5 0.7500 0.6153 0.9337  1 Si 1.66
H4 0.2500 0.9468 0.2122  1 O 0.98
Al2 0.5000 0.5000 0.5000  6 O 1.89-1.97
O6 0.9726 0.6200 0.3786  1 Si 1.64
H5 0.7500 0.2817 0.0313  1 O 1.00
O7 0.4786 0.1299 0.3849  1 Si 1.63
H6 0.7500 0.3129 0.4039  1 O 0.97
Si2 0.7500 0.7699 0.6310  4 O 1.63-1.67
O8 0.7500 0.7995 0.2483  2 Si 1.67
O9 0.4786 0.3701 0.8849  1 Si 1.63
Ca1 0.2500 0.9176 0.7485  6 O 2.40-2.51
O10 0.2500 0.6205 0.5376  1 H 0.97
H7 0.7500 0.1871 0.9039  1 O 0.97
O11 0.4726 0.3800 0.6214  1 Si 1.64
O12 0.9786 0.8701 0.6151  1 Si 1.63
H8 0.7500 0.1159 0.6728  1 O 1.01
H9 0.2500 0.8841 0.3272  1 O 1.01
O13 0.5274 0.6200 0.3786  1 Si 1.64
H10 0.2500 0.6871 0.5961  1 O 0.97
O14 0.7500 0.3795 0.4624  1 H 0.97
O15 0.0274 0.3800 0.6214  1 Si 1.64
O16 0.5214 0.6299 0.1151  1 Si 1.63
H11 0.2500 0.7817 0.4687  1 O 1.00
Ca2 0.7500 0.4176 0.7515  6 O 2.40-2.51
Si3 0.2500 0.2727 0.6350  4 O 1.64-1.67
O17 0.7500 0.1205 0.9624  1 H 0.97
O18 0.2500 0.8795 0.0376  1 H 0.97
O19 0.2500 0.2005 0.7517  2 Si 1.67
H12 0.2500 0.6159 0.8272  1 O 1.01
Si4 0.2500 0.2699 0.8690  4 O 1.63-1.67
Al3 0.0000 0.0000 0.0000  6 O 1.89-1.97
H13 0.7500 0.0532 0.7878  1 O 0.98
O20 0.4726 0.1200 0.1214  1 Si 1.64
O21 0.7500 0.7005 0.7483  2 Si 1.67
Ca3 0.7500 0.0824 0.2515  6 O 2.40-2.51
Al4 0.0000 0.0000 0.5000  6 O 1.90-2.00
Si5 0.2500 0.2301 0.3690  4 O 1.63-1.67
Al5 0.5000 0.0000 0.5000  6 O 1.90-2.00
Al6 0.0000 0.5000 0.0000  6 O 1.90-2.00
O22 0.5274 0.8800 0.8786  1 Si 1.64
H14 0.7500 0.3841 0.1728  1 O 1.01
O23 0.0274 0.1200 0.1214  1 Si 1.64
Al7 0.5000 0.5000 0.0000  6 O 1.90-2.00
O24 0.2500 0.6449 0.7531  2 H 0.98-1.01
O25 0.0214 0.1299 0.3849  1 Si 1.63
O26 0.7500 0.8872 0.0622  1 Si 1.66
O27 0.7500 0.1449 0.7469  2 H 0.98-1.01
H15 0.7500 0.4468 0.2878  1 O 0.98
Si6 0.7500 0.7727 0.8650  4 O 1.64-1.67
O28 0.0214 0.3701 0.8849  1 Si 1.63
O29 0.2500 0.2995 0.2517  2 Si 1.67
H16 0.2500 0.8129 0.0961  1 O 0.97
Al8 0.0000 0.5000 0.5000  6 O 1.89-1.97
Si7 0.2500 0.2273 0.1350  4 O 1.64-1.67
O30 0.7500 0.6128 0.5622  1 Si 1.66
O31 0.2500 0.6098 0.9482  1 H 1.00
O32 0.2500 0.8551 0.2531  2 H 0.98-1.01
Si8 0.7500 0.7273 0.3650  4 O 1.64-1.67
O33 0.7500 0.3902 0.0518  1 H 1.00
O34 0.2500 0.3872 0.4378  1 Si 1.66
O35 0.2500 0.1153 0.5663  1 Si 1.66
O36 0.9726 0.8800 0.8786  1 Si 1.64
O37 0.2500 0.1128 0.9378  1 Si 1.66
O38 0.7500 0.8847 0.4337  1 Si 1.66
O39 0.5214 0.8701 0.6151  1 Si 1.63
O40 0.2500 0.3847 0.0663  1 Si 1.66
Ca4 0.2500 0.5824 0.2485  6 O 2.40-2.51

Properties
Its space group is Pnma, No. 62. For the size of the total moment, the calculation gives 0.000 Bohr magnetons per cell.

=====

<two>
An optimized crystal structure of CaAl2Si2H4O10, computed with PBE-GGA.

a b c (Å): 6.0532 6.0532 13.8832
angles (deg): 90.00 90.00 58.29
Closest atoms and distances in Å follow each position.
Sites, in units of the cell vectors:
Al1 0.0000 0.5000 0.0000  6 O 1.89-1.99
O1 0.6427 0.6427 0.9751  1 H 0.97
H1 0.5862 0.5862 0.9203  1 O 0.97
O2 0.4707 0.9376 0.1389  1 Si 1.64
O3 0.0624 0.5293 0.6389  1 Si 1.64
H2 0.5862 0.5862 0.5797  1 O 0.97
Al2 0.5000 0.0000 0.5000  6 O 1.89-1.99
O4 0.4707 0.9376 0.3611  1 Si 1.64
Si1 0.2131 0.2131 0.8503  4 O 1.64-1.68
O5 0.3573 0.3573 0.4751  1 H 0.97
O6 0.3573 0.3573 0.0249  1 H 0.97
O7 0.8595 0.8595 0.0437  1 Si 1.66
H3 0.4138 0.4138 0.4203  1 O 0.97
Si2 0.7869 0.7869 0.3503  4 O 1.64-1.68
Si3 0.2131 0.2131 0.6497  4 O 1.64-1.68
O8 0.8595 0.8595 0.4563  1 Si 1.66
____________
Response
H13 0.7500 0.0532 0.7878  1 O 0.98
O20 0.4726 0.1200 0.1214  1 Si 1.64
O21 0.7500 0.7005 0.7483  2 Si 1.67
Ca3 0.7500 0.0824 0.2515  6 O 2.40-2.51
Al4 0.0000 0.0000 0.5000  6 O 1.90-2.00
Si5 0.2500 0.2301 0.3690  4 O 1.63-1.67
Al5 0.5000 0.0000 0.5000  6 O 1.90-2.00
Al6 0.0000 0.5000 0.0000  6 O 1.90-2.00
O22 0.5274 0.8800 0.8786  1 Si 1.64
H14 0.7500 0.3841 0.1728  1 O 1.01
O23 0.0274 0.1200 0.1214  1 Si 1.64
Al7 0.5000 0.5000 0.0000  6 O 1.90-2.00
O24 0.2500 0.6449 0.7531  2 H 0.98-1.01
O25 0.0214 0.1299 0.3849  1 Si 1.63
O26 0.7500 0.8872 0.0622  1 Si 1.66
O27 0.7500 0.1449 0.7469  2 H 0.98-1.01
H15 0.7500 0.4468 0.2878  1 O 0.98
Si6 0.7500 0.7727 0.8650  4 O 1.64-1.67
O28 0.0214 0.3701 0.8849  1 Si 1.63
O29 0.2500 0.2995 0.2517  2 Si 1.67
H16 0.2500 0.8129 0.0961  1 O 0.97
Al8 0.0000 0.5000 0.5000  6 O 1.89-1.97
Si7 0.2500 0.2273 0.1350  4 O 1.64-1.67
O30 0.7500 0.6128 0.5622  1 Si 1.66
O31 0.2500 0.6098 0.9482  1 H 1.00
O32 0.2500 0.8551 0.2531  2 H 0.98-1.01
Si8 0.7500 0.7273 0.3650  4 O 1.64-1.67
O33 0.7500 0.3902 0.0518  1 H 1.00
O34 0.2500 0.3872 0.4378  1 Si 1.66
O35 0.2500 0.1153 0.5663  1 Si 1.66
O36 0.9726 0.8800 0.8786  1 Si 1.64
O37 0.2500 0.1128 0.9378  1 Si 1.66
O38 0.7500 0.8847 0.4337  1 Si 1.66
O39 0.5214 0.8701 0.6151  1 Si 1.63
O40 0.2500 0.3847 0.0663  1 Si 1.66
Ca4 0.2500 0.5824 0.2485  6 O 2.40-2.51

Properties
Its space group is Pnma, No. 62. For the size of the total moment, the calculation gives 0.000 Bohr magnetons per cell.

=====

<two>
An optimized crystal structure of CaAl2Si2H4O10, computed with PBE-GGA.

a b c (Å): 6.0532 6.0532 13.8832
angles (deg): 90.00 90.00 58.29
Closest atoms and distances in Å follow each position.
Sites, in units of the cell vectors:
Al1 0.0000 0.5000 0.0000  6 O 1.89-1.99
O1 0.6427 0.6427 0.9751  1 H 0.97
H1 0.5862 0.5862 0.9203  1 O 0.97
O2 0.4707 0.9376 0.1389  1 Si 1.64
O3 0.0624 0.5293 0.6389  1 Si 1.64
H2 0.5862 0.5862 0.5797  1 O 0.97
Al2 0.5000 0.0000 0.5000  6 O 1.89-1.99
O4 0.4707 0.9376 0.3611  1 Si 1.64
Si1 0.2131 0.2131 0.8503  4 O 1.64-1.68
O5 0.3573 0.3573 0.4751  1 H 0.97
O6 0.3573 0.3573 0.0249  1 H 0.97
O7 0.8595 0.8595 0.0437  1 Si 1.66
H3 0.4138 0.4138 0.4203  1 O 0.97
Si2 0.7869 0.7869 0.3503  4 O 1.64-1.68
Si3 0.2131 0.2131 0.6497  4 O 1.64-1.68
O8 0.8595 0.8595 0.4563  1 Si 1.66